The Role Head Start plays in the life of the community, families, and children education. The Role Head Start plays in the life of the community, families, and children education. I have been teaching preschool – age children for over nine years and throughout my years of educating young children I would say that my goals and expectations can be my philosophy. My goals for my children are to develop socially, emotionally, physically and cognitively, develop language skills, develop problem solving skills and develop conflict resolution skills. I believe that each child is a unique individual and that all children can learn.
Trust is a big part of building a relationship with people, especially with children who are under your care. In my own experience of building relationships with children – students in my case – I found that having a friendly, open nature works best in gaining their friendship and trust. Children respond well to someone who is approachable and this is the only way to get them to co-operate with you. I have taught several children with social/personality disorders and although at the start of our relationship it was challenging to gain their confidence, I managed to build and maintain a strong friendship with them by being able to relate to them will and approach them with a bright, positive attitude. Maintaining a relationship with someone is very important also as it keeps you in contact with others.
## Data records, as found in the file
____________
[1]
DFT (GGA-PBE) results for NaVP2S after structural relaxation.

Cell lengths 4.6128, 4.6128, 4.6142 Å; angles 90.00, 90.00, 90.00 degrees
Element x y z (fractional)
S 0.0000 0.0000 0.5000
P 0.0000 0.5000 0.0000
P 0.5000 0.0000 0.0000
Na 0.5000 0.5000 0.5000
V 0.0000 0.0000 0.0000

Summary:
As for the offset from the most stable computed form: 0.000 eV per atom. For the raw formation energy, the calculation gives -0.7 eV/f.u.

[2]
DFT (GGA-PBE) results for NaP2WS after structural relaxation.

Cell lengths 4.7366, 4.7366, 4.8120 Å; angles 90.00, 90.00, 90.00 degrees
Element x y z (fractional)
Na 0.5000 0.5000 0.5000
W 0.0000 0.0000 0.0000
P 0.5000 0.0000 0.0000
P 0.0000 0.5000 0.0000
S 0.0000 0.0000 0.5000

Summary:
As for the offset from the most stable computed form: 0.000 eV per atom. For the raw formation energy, the calculation gives 0.1 eV/f.u.

[3]
DFT (GGA-PBE) results for NaPWS2 after structural relaxation.

Cell lengths 4.6014, 4.6014, 4.5972 Å; angles 90.00, 90.00, 90.00 degrees
Element x y z (fractional)
S 0.0000 0.5000 0.0000
S 0.5000 0.0000 0.0000
W 0.5000 0.5000 0.5000
Na 0.0000 0.0000 0.0000
P 0.0000 0.0000 0.5000

Summary:
As for the offset from the most stable computed form: 2.073 eV per atom. For the raw formation energy, the calculation gives 9.4 eV/f.u.

[4]
DFT (GGA-PBE) results for NaPWS2 after structural relaxation.

Cell lengths 4.7598, 4.7598, 4.7444 Å; angles 90.00, 90.00, 90.00 degrees
Element x y z (fractional)
W 0.0000 0.0000 0.0000
S 0.5000 0.0000 0.0000
S 0.0000 0.5000 0.0000
P 0.0000 0.0000 0.5000
Na 0.5000 0.5000 0.5000

Summary:
As for the offset from the most stable computed form: 0.000 eV per atom. For the raw formation energy, the calculation gives -0.9 eV/f.u.

[5]
DFT (GGA-PBE) results for NaP2WS8 after structural relaxation.

Cell lengths 5.9259, 5.9259, 9.7556 Å; angles 72.32, 72.32, 60.00 degrees
Element x y z (fractional)
S 0.1878 0.1878 0.4366
S 0.8122 0.8122 0.5634
S 0.2867 0.9422 0.1495
S 0.9422 0.6216 0.1495
S 0.3784 0.7133 0.8505
S 0.0578 0.3784 0.8505
S 0.7133 0.0578 0.8505
S 0.6216 0.2867 0.1495
W 0.0000 0.0000 0.0000
P 0.2598 0.2598 0.2205
P 0.7402 0.7402 0.7795
Na 0.5000 0.5000 0.5000

Summary:
For the raw formation energy, the calculation gives -3.3 eV/f.u.

[6]
DFT (GGA-PBE) results for NaP2WS after structural relaxation.

Cell lengths 4.5989, 4.5989, 4.5613 Å; angles 90.00, 90.00, 90.00 degrees
Element x y z (fractional)
Na 0.0000 0.0000 0.0000
W 0.5000 0.5000 0.5000
P 0.5000 0.0000 0.0000
P 0.0000 0.5000 0.0000
S 0.0000 0.0000 0.5000

Summary:
As for the offset from the most stable computed form: 2.034 eV per atom. For the raw formation energy, the calculation gives 10.2 eV/f.u.

[7]
DFT (GGA-PBE) results for NaYbP2S6 after structural relaxation.

Cell lengths 7.0487, 7.4092, 10.0857 Å; angles 89.27, 74.94, 88.45 degrees
Element x y z (fractional)
S 0.6558 0.2447 0.9763
S 0.6872 0.3074 0.5711
S 0.1535 0.1910 0.4248
S 0.3442 0.7553 0.0237
S 0.8963 0.8463 0.9366
S 0.0845 0.4896 0.7343
____________
The layout of the literature plan should reflect a comprehensive understanding of the components necessary to create an effective literature program for preschool age children. An effective literature program should define the criteria for selecting pieces of literature; identify developmental goals that support language, intellectual, personality, social and moral, and creative development of preschool age children. In my literature program for preschool children, my primary goal is to implement literature in the entire classroom, not just in certain areas. When selecting literature for my literature plan I will first need to know the children's background. The literature selected will try to some-what reflect the children’s backgrounds.
My philosophy on Early Childhood Education I believe as a teacher, I am responsible for providing young children with a positive learning experience. I strive to be a positive role model for the children left in my care, and in the community I serve. Children have the right to have their needs meet, to have a positive learning experience while in the care of their caregivers. Children learn what they live, and I have the opportunity while working with these children on a daily basis to teach them how to respect one another, by leading by example. You can teach them patients by showing them patients.
Family system theory it explains why family act the way that they do in different situations. This theory is typically used in family counseling and therapy; much can be learned from examining it in the context of early childhood settings. Family systems theory has been used in trying to understand problems of students in school settings (Sawatzky, Eckert, & Ryan 1993; Widerman & Widerman 1995; Kraus 1998; Van Velsor & Cox 2000). The need to understand early childhood setting is indicates by professional organization so they can prepare early childhood and elementary professional. The concept of family theory is to help each member of the family by influencing and encouraging each other.
Family Centered Teaching Abstract What does family centered teaching mean? Does that mean to have the entire family in the classroom? No, what it means is being able to build relationships with the parents of the child, while providing the child with a learning environment that is exciting, fun, and will help the child, and the family, find and gain access to resources in the community. How does attachment lead to self-help skills? And does this lead to empowerment for the child?
In making professional judgements, they weave together their: • professional knowledge and skills • knowledge of children, families and communities • awareness of how their beliefs and values impact on children’s learning • personal styles and past experiences. They also draw on their creativity, intuition and imagination to help them improvise and adjust their practice to suit the time, place and context of learning. Different theories about early childhood inform approaches to children’s learning and development. Early childhood educators draw upon a range of perspectives in their work which may include: • developmental theories that focus on describing and understanding the processes of change in children’s learning and development over time • socio-cultural theories that emphasise the central role that families and cultural groups play in children’s learning and the importance of respectful relationships and provide insight into social and cultural contexts of learning and development • socio-behaviourist theories that focus on the role of experiences in shaping children’s behaviour • critical theories that invite early childhood educators to challenge assumptions about curriculum, and consider how
-- The page is interrupted by crystal structures --
=====
No. 1
The following is a GGA-PBE calculation of an optimized crystal structure of Ho5Zn4Cd, from OQMD via LeMat-Bulk.

The structure in CIF format:
```
data_Ho5Zn4Cd
_cell_length_a 3.555
_cell_length_b 3.555
_cell_length_c 18.142
_cell_angle_alpha 90.00
_cell_angle_beta 90.00
_cell_angle_gamma 90.00
_symmetry_space_group_name_H-M 'P 4/m m m'
_symmetry_Int_Tables_number 123
_symmetry_space_group_name_Hall '-P 4 2'
loop_
_atom_site_label
_atom_site_fract_x
_atom_site_fract_y
_atom_site_fract_z
Ho1 0.000 0.000 0.000
Ho2 0.000 0.000 0.194
Ho3 0.000 0.000 0.387
Zn1 0.500 0.500 0.097
Zn2 0.500 0.500 0.292
Cd1 0.500 0.500 0.500
```

Results
For the formation energy from the elements, the calculation gives -3.45 eV/f.u. For the magnetization, the calculation gives 0.5 μB/cell. The value obtained for the volume is 229.26 Å³/f.u.


No. 2
The following is a GGA-PBE calculation of an optimized crystal structure of RbZnCo, from OQMD via LeMat-Bulk.

The structure in CIF format:
```
data_RbZnCo
_cell_length_a 7.873
_cell_length_b 7.873
_cell_length_c 7.873
_cell_angle_alpha 90.00
_cell_angle_beta 90.00
_cell_angle_gamma 90.00
_symmetry_space_group_name_H-M 'F -4 3 m'
_symmetry_Int_Tables_number 216
_symmetry_space_group_name_Hall 'F -4 2 3'
loop_
_atom_site_label
_atom_site_fract_x
_atom_site_fract_y
_atom_site_fract_z
Rb1 0.000 0.000 0.000
Zn1 0.250 0.250 0.250
Co1 0.250 0.250 0.750
```

Results
The value obtained for the energy above the lowest structure with this stoichiometry is 358.2 meV per atom. For the magnetization, the calculation gives 8.1 μB/cell. The value obtained for the volume is 121.99 Å³/f.u.


No. 3
The following is a GGA-PBE calculation of an optimized crystal structure of Na2AgMoH6, from OQMD via LeMat-Bulk.

The structure in CIF format:
```
data_Na2AgMoH6
_cell_length_a 5.1532
_cell_length_b 5.1532
_cell_length_c 13.8128
_cell_angle_alpha 90.00
_cell_angle_beta 90.00
_cell_angle_gamma 120.00
_symmetry_space_group_name_H-M 'R -3'
_symmetry_Int_Tables_number 148
_symmetry_space_group_name_Hall '-R 3'
loop_
_atom_site_label
_atom_site_fract_x
_atom_site_fract_y
_atom_site_fract_z
Na1 0.0000 0.0000 0.2454
Ag1 0.0000 0.0000 0.5000
Mo1 0.0000 0.0000 0.0000
H1 0.0132 0.4454 0.7481
```

Results
For the magnetization, the calculation gives 9.0 μB/cell. The value obtained for the volume is 105.89 Å³/f.u.


No. 4
The following is a GGA-PBE calculation of an optimized crystal structure of TePd16, from OQMD via LeMat-Bulk.

The structure in CIF format:
```
data_TePd16
_cell_length_a 11.277
_cell_length_b 2.834
_cell_length_c 27.179
_cell_angle_alpha 90.00
_cell_angle_beta 90.39
_cell_angle_gamma 90.00
_symmetry_space_group_name_H-M 'P 1 21/m 1'
_symmetry_Int_Tables_number 11
_symmetry_space_group_name_Hall '-P 2yb'
loop_
_atom_site_label
_atom_site_fract_x
_atom_site_fract_y
_atom_site_fract_z
Te1 0.111 0.250 0.213
Pd1 0.013 0.750 0.544
Pd2 0.041 0.250 0.632
Pd3 0.072 0.750 0.724
Pd4 0.137 0.750 0.300
Pd5 0.165 0.250 0.387
Pd6 0.192 0.750 0.476
=====
The more children know about their world, the easier it is for them to read and learn when they get to school. You have an important role to play in helping children learn new information, ideas, and vocabulary and how to use this knowledge to become full participants in their own learning. You can help children to connect new information and ideas to what they already know and understand. As a teacher, you and the children's parents and caregivers are partners in helping to get the children ready for future school success. Good communication with parents and caregivers can build support for and strengthen the important work that you are doing in the classroom.
This course aims to provide you with a thorough understanding of the fundamental and important role of play in children’s development and learning. By critically analysing contemporary theories, research and practice in relation to early years development and learning you will gain understanding about how to work with families and early years colleagues so that all children feel secure, valued, confident and independent. The first assignment will involve writing a Literature Review on an aspect of child development or a particular issue relating to children’s learning and development. As part of this course you will gain experience working with young children in an early years setting. It is here that you will practise the skill of planning for young children within the learning domains outlined in the EYFS.
Importance of Early Childhood Education It’s important for a child to receive early education because it is the time for growing, forming and brain developing. Children who are small require specific skills like language, social interaction. When they are small they have the ability to take everything in and remember to well. We as parents have the opportunity to nurture and educate our children on all levels, making sure that our children are being taught properly. Early childhood education is a field of study that concerns itself with all aspect of early life experiences.